Fran Buntman

Fran Buntman
Assistant Professor and Director of Graduate Studies
Core Faculty
Fran Buntman is from South Africa and has lived in Washington DC since 2000. Her degrees are from the University of the Witwatersrand, Brandeis University, and the University of Texas at Austin. Her primary teaching and research interests focus on prisons, punishment, law and other institutions of power, and resistance to power. These themes are core to her book, Robben Island and Prisoner Resistance to Apartheid (Cambridge, 2003) and two recent journal articles “Prison and law, repression and resistance: Colonialism and beyond” (2019), and, co-authored with Antwan Jones and Hiromi Ishizawa (2023), “The Mental health consequences of parental incarceration.” A faculty member at the Department of Sociology at GWU since 2002, she is currently working on a number of research projects, including the legal consciousness of incarcerated people.
Professor Buntman works closely with students, alum, and in the community. She centers committed teaching and mentoring students along with a pedagogy that integrates theory and practice, including through public engagement and advancing student-led policy change. She loves teaching and supporting students through their learning journeys. Until recently, she was the Director of GW’s Law and Society Minor which she helped to found. Dr. Buntman currently serves as Sociology’s Director of Graduate Studies. In 2021 she was the Faculty Speaker for the MA Celebration and in 2023 was awarded the CCAS Award for Excellence in the Mentoring of Master's Students. She is the proud mother of two college students.
Inequality, law, power, prisons, punishment, race, resistance, social change, South Africa
Sentencing reform and mass incarceration
Mandela and law
Prison, law, and resistance
Undergraduate Courses:
SOC 1000 - Prisons and Punishment: International Fact, Film, and Fiction (Dean's Seminar)
SOC 1003 - Introduction to Criminal Justice
SOC 2145 - Criminal Law
SOC 2167 - Sociology of Law
SOC 2181 - (Special Topics) South Africa: A Political Sociology
SOC 2189 - (Special Topics in Criminal Justice) Corrections and Punishment
CPS 2101 - The Criminal Justice System
Graduate Courses:
SOC 6257 - Gender and Criminal Justice
SOC 6262 - Corrections
Buntman, F. L. (2003). Robben Island and Prisoner Resistance to Apartheid. Cambridge: Cambridge University Press.
Selected Journal Articles and Book Chapters
Jones, A., Buntman, F., Ishizawa, H., & Lese, K. (2022). The Mental Health Consequences of Parental Incarceration: Evidence from a Nationally Representative Longitudinal Study of Adolescents through Adulthood in the United States. American Journal of Criminal Justice.
Buntman, F. (2019). Prison and Law, Repression and Resistance: Colonialism and Beyond. Journal of International Commonwealth History, 47(2), pp. 213-246.
Eglitis, D., Buntman, F., & Alexander, D. (2016). Social Issues and Problem-based Learning in Sociology: Opportunities and Challenges in the Undergraduate Classroom. Teaching Sociology, 44(3), 212-220.
Buntman, F., & Muntingh, L. (2013). "Supermaximum prisons in South Africa." In J. Ross (Ed.), The Globalization of Supermax Prisons (pp. 80-94). New Brunswick: Rutgers University Press.
Buntman, F. (2011). "Therapeutic jurisprudence, apartheid’s victims, and the South African Truth and Reconciliation" [Commission]. In E. Erez, M. Kilchling, & J. Wemmers (Eds.), Therapeutic Jurisprudence and Victim Participation in Justice: International Perspectives (pp. 169-206). Durham, NC: Carolina Academic Press.
Buntman, F., & Buntman, B. (2010). "‘Old synagogue’ and apartheid court: Constructing a South African heritage site." South African Historical Journal, 62(1), 183-201.
Buntman, F. (2009). "Prison and democracy: Lessons learned, and not learned, from 1989 to 2009." Journal of Politics, Culture, and Society, 22(3), 401-418.
Buntman, F., & Snyman, R. (2003). "Policing in a diverse and multi-cultural society: The South African case." Journal of Police & Society. An Interdisciplinary Israeli Journal of Law Enforcement and Criminology, 7, 197-230. Also published online by the National Institute of Justice.
Buntman, F. (2001). "Race, reputation, and the Supreme Court: Valuing blackness and whiteness." University of Miami Law Review, 56(1), 1-24.
Buntman, F., & Huang, T. (2000). "The role of political imprisonment in developing and enhancing political leadership: A comparative study of South Africa's and Taiwan's democratization." Journal of Asian and African Studies, 35(1), 43-66. Reprinted in: Taiwan in Perspective (pp. 43-66). Wei-chin Lee ed. Leiden: The Netherlands: Brill Publishers, 2000.
Newspaper Articles/Opinions and Analysis
Buntman, F. (2018, March 23). From Soweto to Stoneman Douglas: The power of youth protest. The Baltimore Sun. Retrieved from
Buntman, F. (2010). "Jacob Zuma's Robben Island legacy." Concerned African Scholars Bulletin, Special issue: The Politics of Jacob Zuma (84), 62-65. Retrieved from
Buntman, F. (2009, August 21-28). "Beware the trend of 'creeping vilification.'" South African Jewish Report.
Buntman, F. (2009, August 15-16). "Zuma's Island-style studies." The Weekender.
Book Reviews
Buntman, F. Review of: Robert N. Kraft’s Violent Accounts: Understanding the Psychology of Perpetrators Through South Africa’s Truth and Reconciliation Commission. (New York University Press, 2014) for the International Journal of Comparative Sociology 60 (3), June 2019, pp. 217-219. doi:10.1177/0020715219846243.
Buntman, F. Review of: Saul Dubow. Apartheid, 1948-1994. New York: Oxford University Press, 2014. For The American Historical Review 121(2), April 2016, pp. 692-693. doi:10.1093/ahr/121.2.692.
Buntman, F. Review of: Ahmed Kathrada. Letters from Robben Island: A Selection of Ahmed Kathrada's Prison Correspondence, 1964-1989. Cape Town: Mayibuye and Robben Island Museum and East Lansing: Michigan State University Press, 1999; Hugh Lewin. Bandiet: Out of Jail. Johannesburg: Random House, 2002; Fatima Meer. Prison Diary: One Hundred and Thirteen Days 1976. South Africa: Kwela Books, 2001; and Raymond Suttner. Inside Apartheid's Prison: Notes and Letters of Struggle. Australia: Ocean Press, 2001; For South African Historical Journal, December 2002. For Journal of Southern African Studies. Vol. 31, Issue 3, Sep 2005.
Buntman, F. Review of: Alison Wakefield. Selling Security: The Private Policing of Public Space. UK and Portland, Oregon: Willan Publishing, 2003. For Law and Politics Book Review. Vol. 15, No.2, February 2005, pp.145-149. Also posted at
Interviewed for and quoted in Adolfo Flores, “Asylum Seekers Keep Resorting To Hunger Strikes, Despite Limited Success,” BuzzFeed, December 28, 2015.…
Interviewed for and quoted in Melissa Sim, “US anti-police anger: No quick fixes,” The Straight Times [Singapore]. May 3, 2015.
Interviewed in “Creating a Criminal" episode of History Repeating Itself. July 2014.
Quoted in Pam Bailey, “Israel and US: Common strategies to control political prisoners.” Al Jazeera. June 2, 2014.
Quoted in Farah Stockman, “Power in prison: The silver lining of leaders’ long prison sentences.” The Boston Globe. December 17, 2013.
Interviewed for a Christian Broadcast News report on three strike policies. January 10, 2014.
Interviewed by Sky News Arabia for “Nightly Discussion” segment about Nelson Mandela’s life and death. December 10, 2013.
"Understanding Nelson Mandela’s Legacy." Kojo Nnamdi Show, WAMU, Studio interview. December 9, 2013.
Interviewed for and quoted in a report by IHA, a Turkish news agency, about Nelson Mandela’s legacy. ABD Mandela’yı anıyor. December 7, 2013.
Quoted by Ari Roth. Yom Kippur Talk, "On The Dramas of Admission."
_Next to the article, the page also holds data records_
<<<
No. 1
An isolated ion of composition C5H13N2O and charge +1, computed with wB97M-V/def2-TZVPD.

Calculated values
* DFT total energy: -10412.3163 eV
* LUMO: -7.76 eV
* total charge: +1
* relative energy (zero: lowest compared OMol25 entry of this formula, charge and spin): 567.30 kJ/mol
* HOMO level: -13.94 eV

Each line ends with the Löwdin charge.
Cartesian coordinates (Å):
1 O 0.4061 0.9610 -0.9483  0.15
2 N -1.9577 -0.1456 -0.0038  0.03
3 N 1.7128 -0.2555 0.5156  -0.03
4 C 0.5083 0.4353 0.1409  -0.49
5 C -0.7770 -0.8280 0.1116  -0.16
6 C 2.8971 0.6974 0.3841  -0.03
7 C -2.2066 1.1253 0.6285  -0.03
8 C -0.5977 -1.7605 -1.0734  0.01
9 H 0.2387 1.0411 1.0324  0.18
10 H -0.8616 -1.3065 1.0950  0.20
11 H -1.6689 1.9064 0.0758  0.12
12 H 3.3527 0.8873 1.3525  0.08
13 H 3.6209 0.0933 -0.1560  0.09
14 H -1.3440 -2.5521 -1.0853  0.11
15 H -1.9841 1.1265 1.6978  0.11
16 H 1.9151 -0.9337 -0.2118  0.09
17 H 2.6365 1.6090 -0.1463  0.09
18 H -2.2705 -0.1298 -0.9695  0.16
19 H -3.2735 1.3554 0.5859  0.11
20 H -0.7600 -1.1709 -1.9784  0.10
21 H 0.4136 -2.1554 -1.0473  0.09

***

No. 2
A single C5H8OS2 molecule, computed with wB97M-V/def2-TZVPD.

Calculated values
* DFT total energy: -29028.3856 eV
* LUMO: 0.71 eV
* relative energy (zero: lowest compared OMol25 entry of this formula, charge and spin): 414.47 kJ/mol
* HOMO level: -8.58 eV

Each line ends with the Löwdin charge.
Cartesian coordinates (Å):
1 S 0.0648 -2.1090 -0.6850  0.80
2 S 0.8025 0.3279 -2.5092  0.85
3 O -1.1724 1.2950 0.9795  -0.12
4 C -1.0150 1.0220 2.3972  -0.07
5 C -0.0243 0.8955 0.4095  -0.43
6 C 0.4245 -0.4962 0.1134  -0.54
7 C -0.0994 0.4513 -0.9695  -0.59
8 C 0.7900 -1.4761 -2.3850  -0.69
9 H 1.5209 -0.5513 0.2235  0.09
10 H 1.7247 -1.9446 -2.5748  0.01
11 H 0.1303 -1.8690 -3.1834  0.03
12 H -0.4555 1.8824 2.7754  0.07
13 H -0.3423 0.0391 2.5919  0.14
14 H 0.9299 1.3639 0.8570  0.18
15 H -2.0906 1.0565 2.9078  0.13
16 H -1.1881 0.1123 -0.9485  0.13

***

No. 3
A single C5H4FNO molecule, computed with wB97M-V/def2-TZVPD.

Calculated values
* DFT total energy: -11501.9449 eV
* LUMO: -0.26 eV
* relative energy (zero: lowest compared OMol25 entry of this formula, charge and spin): 253.58 kJ/mol
* HOMO level: -9.60 eV

Each line ends with the Löwdin charge.
Cartesian coordinates (Å):
1 F -0.2437 -1.0760 -3.5663  0.19
2 O -2.1801 -1.9435 -2.4282  -0.13
3 N -0.4271 -0.6323 -1.2656  -0.02
4 C 0.6119 0.3313 -1.0956  -0.01
5 C -0.8475 -1.2143 -2.4276  -0.24
6 C 0.6299 0.6212 0.2112  -0.06
7 C -0.3252 -0.1754 0.8912  -0.03
8 C -1.0208 -0.8102 -0.0613  -0.06
9 H -1.8072 -1.4443 0.0782  0.10
10 H 1.2376 1.2926 0.6736  0.08
11 H 1.0305 0.6250 -1.9906  0.10
12 H -0.4845 -0.1592 1.9042  0.09

***

No. 4
C39H59ClHfN6O2Si as an isolated structure, computed with wB97M-V/def2-TZVPD.

Calculated values
* DFT total energy: -76131.9749 eV
* LUMO: -5.67 eV
* total charge: +2
* relative energy (zero: lowest compared OMol25 entry of this formula, charge and spin): 123.72 kJ/mol
* HOMO level: -13.16 eV
>>>
PhD University of Texas at Austin, 1997